┌──
The following is a quantum chemistry calculation of a structure of composition C23H19CsFN5O4, from the OMol25 dataset.

Geometry (Å):
Cs  2.7047  -0.3299  0.7896
C  6.7120  2.0154  0.1502
C  5.8507  1.8483  1.3741
C  6.0464  0.7883  2.2555
C  5.2293  0.6234  3.3677
C  4.2073  1.5276  3.6212
C  4.0070  2.5949  2.7546
C  4.8200  2.7480  1.6405
H  6.9934  3.0592  0.0113
H  6.1781  1.7004  -0.7491
H  7.6216  1.4214  0.2211
H  6.8453  0.0807  2.0676
H  5.3819  -0.2190  4.0303
H  3.5499  1.3861  4.4694
H  3.2021  3.2955  2.9376
H  4.6490  3.5775  0.9635
N  -8.4825  3.9460  -0.7463
C  -7.4807  3.4201  -0.5481
C  -6.2268  2.7633  -0.3005
C  -5.0670  3.5158  -0.1334
C  -3.8654  2.8818  0.1227
C  -3.8158  1.4952  0.1928
C  -4.9682  0.7402  0.0158
C  -6.1728  1.3728  -0.2222
N  -2.5820  0.8508  0.4508
C  -2.3707  -0.2419  1.2653
C  -1.0415  -0.5195  1.1824
N  -0.4278  0.3751  0.3275
C  -1.3733  1.1786  -0.0846
H  -5.1141  4.5944  -0.1880
H  -2.9673  3.4612  0.2892
H  -4.9104  -0.3395  0.0477
H  -7.0767  0.7966  -0.3629
H  -3.1679  -0.6886  1.8326
H  -0.4793  -1.3127  1.6536
H  -1.2622  1.9809  -0.7960
F  -1.3081  -0.7559  -3.6737
C  -1.0338  -2.0194  -3.3054
C  -0.6801  -2.3049  -2.0510
N  -0.4119  -3.5863  -1.6340
C  -0.0219  -3.8040  -0.2461
C  1.1833  -2.9312  0.1661
O  1.9608  -2.5833  -0.7463
O  1.2588  -2.6480  1.3866
C  -0.4447  -4.6466  -2.5100
O  -0.2295  -5.7978  -2.1976
N  -0.8072  -4.3037  -3.8061
C  -1.1228  -3.0527  -4.3241
O  -1.4380  -2.8939  -5.4820
H  -0.5864  -1.5314  -1.3020
H  0.2503  -4.8515  -0.1441
H  -0.8655  -3.5949  0.4132
H  -0.8495  -5.0829  -4.4473

Forces on atoms 1 to 6 (eV/Å):
0.249 0.404 0.012
-0.022 0.003 0.026
0.019 -0.002 -0.034
-0.024 -0.023 -0.008
-0.045 -0.001 -0.013
-0.090 -0.074 -0.041

Output
Charge: 0
HOMO level, eV: -8.5
Frontier orbital gap, eV: 8.16
DFT total energy, Eh: -1582.70648
Spin multiplicity: 1
Relative energy (zero: lowest compared OMol25 entry of this formula, charge and spin), kJ/mol: 0.0


The following is a quantum chemistry calculation of a structure of composition C6H14O, from the OMol25 dataset.

Geometry (Å):
C  -1.5121  -0.2224  -0.2874
C  0.2777  -1.2685  -0.5069
C  -1.3675  0.8034  0.6262
C  0.3690  -2.1190  0.7351
C  1.3118  -0.3435  -0.7656
C  0.7986  2.0973  0.4044
O  -1.8719  0.0667  -1.5999
H  -1.5306  0.9388  -1.8289
H  -1.9813  -1.1447  0.0327
H  -0.1729  -1.7517  -1.3664
H  -1.2786  0.5682  1.6763
H  -1.6261  1.8171  0.3675
H  0.6622  -1.5173  1.5987
H  -0.5778  -2.6114  0.9710
H  2.2236  -0.4367  -0.1789
H  1.5123  -0.0940  -1.8039
H  1.1232  -2.9014  0.6090
H  0.9205  0.8269  -0.1957
H  0.3554  2.8195  -0.2769
H  1.8846  2.1898  0.3652
H  0.4799  2.2830  1.4244

Forces on atoms 1 to 6 (eV/Å):
-0.676 0.913 0.426
1.080 0.191 -0.120
-0.193 -0.692 -0.479
-0.136 0.084 0.046
-0.159 -1.150 -0.256
0.460 -0.731 -0.440

Output
Charge: 0
HOMO level, eV: -7.7
Frontier orbital gap, eV: 8.17
DFT total energy, Eh: -312.05562
Spin multiplicity: 1
Relative energy (zero: lowest compared OMol25 entry of this formula, charge and spin), kJ/mol: 523.6


The following is a quantum chemistry calculation of a structure of composition C20H41ClF6GeHgN5O13S2, from the OMol25 dataset.

Geometry (Å):
Hg  -0.0785  -0.0750  0.1025
C  -1.9776  3.7358  1.2647
C  -2.7596  2.4314  1.4531
C  -3.6712  2.2218  0.2414
C  -3.6326  2.5498  2.7125
O  -1.8812  1.3330  1.5571
Ge  -0.9237  0.7764  3.0518
O  0.7402  0.7343  1.9418
C  1.8552  1.6137  2.0742
C  1.8824  2.2213  3.4800
C  1.7825  2.7373  1.0443
C  3.1361  0.8074  1.8282
O  -1.2060  -1.0606  2.6686
C  -2.3962  -1.7820  2.8903
C  -2.0545  -3.2796  2.8886
C  -3.4346  -1.5120  1.7961
C  -3.0061  -1.4282  4.2551
H  -2.6578  4.5881  1.2307
H  -1.2819  3.8693  2.0960
H  -1.4190  3.6882  0.3297
H  -4.2881  3.1050  0.0687
H  -3.0565  2.0369  -0.6347
H  -4.3178  1.3581  0.4008
H  -4.3907  3.3216  2.5771
H  -4.1272  1.5972  2.9086
H  -3.0141  2.7972  3.5771
H  1.0126  2.8658  3.6116
H  1.8399  1.4307  4.2309
H  2.7873  2.8112  3.6274
└──

What is needed: search the rows above for the word "is" and restate each line that has it.

The following is a quantum chemistry calculation of a structure of composition C23H19CsFN5O4, from the OMol25 dataset.
The following is a quantum chemistry calculation of a structure of composition C6H14O, from the OMol25 dataset.
The following is a quantum chemistry calculation of a structure of composition C20H41ClF6GeHgN5O13S2, from the OMol25 dataset.